Creston Valley Kootenay Lake Economic Action Partnership
The Creston Valley Kootenay Lake Economic Action Partnership (CV-KL EAP) is a voluntary collaboration of the Town of Creston and Regional District of Central Kootenay (RDCK) Electoral Areas A, B, and C. The CV-KL EAP is a strategic partnership seeking to address regional economic opportunities and challenges in a collaborative way. The CV-KL EAP seeks to enact and build upon the ‘Stronger Together – Creston Valley – Kootenay Lake Economic Action Strategy.’
The CV-KL EAP works towards a shared vision of economic prosperity, as articulated in Stronger Together:
The communities of CV-KL work together to ensure a thriving local economy that is inclusive, supports a high quality of life, and builds on our strengths in agriculture, tourism & recreation and small business. Residents can find or create work that meets their needs, and businesses can find or create work that meets their needs, and businesses can find qualified staff. Local businesses collaborate for shared success and have the community and government support they need to thrive. New residents and businesses are drawn to the area by the high quality of life and services available. CV-KL is a place for innovation, collaboration, and living a great life.
Advisory Committee
The Advisory Committee is made up of representatives of the CV-KL EAP partners, as well as of sector representatives within the CV-KL community. The Committee provides direction and sets priorities, goals and objectives for CV-KL EAP strategic plans and work plans. The Committee builds relationships between community members, communicates community needs, and shares information related to economic issues/opportunities in service of the CV-KL EAP vision.
- Partner Representatives (appointed by respective local governments) Town of Creston, RDCK Electoral A, B and C
- Local Government Representatives (staff): RDCK CAO, Town of Creston CAO, Lower Kootenay Band COO
Inserted here: records of molecules:
Record 1
{
  "formula": "C11H22N6O5Pb",
  "method": "wB97M-V/def2-TZVPD",
  "relative_energy_kcal_mol": 0.0,
  "e_lumo_ev": [-0.42, -0.42],
  "species": ["O", "H", "Pb", "N", "N", "O", "O", "C", "C", "C", "C", "H", "H", "H", "H", "H", "H", "H", "H", "O", "H", "H", "C", "H", "H", "H", "O", "H", "H", "N", "C", "C", "N", "C", "C", "N", "C", "C", "N", "H", "H", "H", "H", "H", "H"],
  "coordinates": [[-2.19, 3.84, 0.28], [-2.95, 3.71, 0.85], [-1.32, 0.60, 0.34], [-0.30, -0.72, -1.98], [-1.52, 1.76, -1.93], [0.80, -1.60, -1.89], [-2.18, 2.86, -2.12], [-0.16, 0.10, -3.03], [-0.85, 1.37, -3.05], [0.88, -0.22, -4.05], [-0.87, 2.30, -4.21], [1.08, -1.31, -4.14], [1.83, 0.31, -3.78], [0.57, 0.19, -5.03], [-0.58, 3.30, -3.82], [-1.95, 2.38, -4.46], [-0.25, 1.99, -5.07], [0.45, -2.47, -1.50], [-2.33, 3.27, -0.54], [1.04, 1.67, -0.06], [1.20, 0.77, 0.36], [1.20, 2.29, 0.65], [-3.05, -0.78, 0.61], [-3.16, -1.31, 1.62], [-3.47, -1.44, -0.23], [-3.46, 0.22, 0.56], [-0.04, -3.97, -1.28], [-0.89, -4.05, -1.75], [-0.20, -4.40, -0.42], [-0.25, 0.80, 4.76], [-1.17, 1.82, 4.88], [-1.58, 2.11, 3.60], [-0.96, 1.23, 2.73], [-0.11, 0.49, 3.46], [0.78, -0.56, 2.98], [1.07, -0.86, 1.71], [1.93, -1.93, 1.75], [2.21, -2.25, 3.04], [1.48, -1.38, 3.81], [0.27, 0.39, 5.56], [-1.45, 2.29, 5.81], [-2.30, 2.82, 3.24], [2.31, -2.42, 0.85], [2.86, -3.01, 3.49], [1.45, -1.36, 4.84]]
}

***

Record 2
{
  "formula": "C11H22NO",
  "method": "wB97M-V/def2-TZVPD",
  "relative_energy_kcal_mol": 90.4,
  "charge": 1,
  "smiles": "C=CCO/C=C(\\[NH2+]C)C(C)(C)CC",
  "e_lumo_ev": -3.04,
  "species": ["C", "C", "C", "C", "C", "C", "C", "C", "C", "C", "C", "N", "O", "H", "H", "H", "H", "H", "H", "H", "H", "H", "H", "H", "H", "H", "H", "H", "H", "H", "H", "H", "H", "H", "H"],
  "coordinates": [[3.35, -0.10, 1.13], [3.50, 0.97, 0.10], [0.98, -0.20, 0.84], [-0.80, 2.11, -0.71], [-2.06, -0.50, 1.83], [-2.41, -0.29, -0.62], [0.64, -2.36, -1.45], [2.77, 1.07, -0.99], [-1.26, 1.56, 0.70], [-0.16, -0.69, 0.36], [-1.46, 0.10, 0.55], [-0.20, -2.03, -0.26], [2.17, -0.88, 0.93], [3.50, 0.18, 2.12], [4.18, -0.87, 0.98], [4.41, 1.56, 0.41], [1.09, 0.86, 1.11], [-1.75, 2.50, -1.11], [-0.01, 2.78, -0.40], [-0.28, 1.35, -1.23], [-1.39, -0.01, 2.54], [-3.06, -0.17, 1.95], [-1.89, -1.60, 1.85], [-3.28, 0.44, -0.77], [-1.94, -0.17, -1.63], [-2.83, -1.34, -0.36], [0.34, -3.38, -1.66], [0.53, -1.88, -2.49], [1.71, -2.44, -1.25], [3.11, 1.94, -1.54], [1.80, 0.62, -1.28], [-0.65, 1.83, 1.57], [-2.25, 2.06, 0.97], [-1.19, -2.34, -0.44], [-0.07, -2.64, 0.58]]
}

***

Record 3
{
  "formula": "C11H22O4Si3",
  "method": "wB97M-V/def2-TZVPD",
  "relative_energy_kcal_mol": 19.8,
  "e_lumo_ev": 0.60,
  "species": ["O", "O", "O", "O", "C", "C", "C", "C", "C", "C", "C", "C", "C", "C", "C", "Si", "Si", "Si", "H", "H", "H", "H", "H", "H", "H", "H", "H", "H", "H", "H", "H", "H", "H", "H", "H", "H", "H", "H", "H", "H"],
The entry goes on:
- Economic Development Sector Representatives: Tourism; forestry; agriculture; social sector; small business
- Representative from the Area A Economic Development Commission
Advisory Committee will meet 2-4 times per year plus one strategic planning session. A Chair and Vice-Chair will be elected.
The term of office for advisory committee positions will be two (2) years. Full terms of reference for the Advisory Committee can be requested from the RDCK at the information below.
How to Apply
The CV-KL EAP is seeking volunteer committee members representing the economic sector areas of tourism; forestry; agriculture; social sector; small business.
Interested community members are asked to submit:
- a short biography reflecting your experience in a specific sector area and
- a statement as to why you are interested in supporting the Creston Valley Kootenay Lake Economic Action Partnership.
Please send your information by Thursday, November 28 to:
Stuart Horn, RDCK CAO
The content on this page was last updated November 6 2019 at 2:11 AM